The Logo of The Episcopal Diocese of Atlanta - Purple Crest with Bishop's Mitre


by | Apr 18, 2018

The 79th General Convention of the Episcopal Church
July 5-13, 2018, Austin, Texas

I get excited and energized during the buildup to General Convention and then going where Episcopalians from 109 dioceses that are in 17 countries worship, work, discuss issues and are together. It is the same for me for our Annual Council, which I hope that those of you who are elected to go feel, and for Province IV Synod meetings. We are a hierarchical denomination, as opposed to congregational, so this structure and polity is important to all of us because it affects the ways that we worship and live out our life together.

July 3: Registration and committee meetings will begin
July 4: Addresses by Presiding Bishop Michael Curry and the Rev. Gay Clark Jenkins, president of the House of Deputies.
July 5: The first legislative day
July 13: Adjournment

## Misplaced calculated crystals
<A>
First-principles (PBE with a Hubbard U) data for a geometry-optimized Fe5O2F8 structure, as listed in the Alexandria database.

a b c (Å): 4.8020 5.7988 13.3863
angles (deg): 100.99 90.74 90.31
Positions (direct):
Fe: 0.0000 0.0000 0.0000
Fe: 0.0013 0.8195 0.3821
Fe: 0.0090 0.4406 0.1937
Fe: 0.4606 0.9080 0.1880
Fe: 0.4802 0.5249 0.9885
Fe: 0.4960 0.3217 0.3949
Fe: 0.5060 0.0862 0.7847
Fe: 0.5306 0.6858 0.5896
Fe: 0.9781 0.2197 0.5842
Fe: 0.9836 0.6197 0.7851
O: 0.1918 0.7268 0.2473
O: 0.3064 0.8402 0.0591
O: 0.6825 0.8032 0.7263
O: 0.6831 0.4009 0.5295
F: 0.1813 0.3430 0.0562
F: 0.1822 0.1317 0.4438
F: 0.2003 0.5392 0.6481
F: 0.2032 0.9365 0.8521
F: 0.2821 0.2489 0.2541
F: 0.2906 0.0373 0.6516
F: 0.2971 0.6488 0.4579
F: 0.2979 0.4053 0.8407
F: 0.6660 0.9880 0.3199
F: 0.6881 0.1749 0.9249
F: 0.7024 0.5864 0.1311
F: 0.7851 0.2867 0.7334
F: 0.7870 0.1211 0.1413
F: 0.7886 0.8866 0.5206
F: 0.8010 0.4954 0.3247
F: 0.8057 0.6785 0.9307

**Space-group type**: No. 1


<B>
First-principles (PBE with a Hubbard U) data for a geometry-optimized Fe5O2F8 structure, as listed in the Alexandria database.

a b c (Å): 7.9759 4.7766 10.8598
angles (deg): 90.00 116.72 90.00
Positions (direct):
Fe: 0.0000 0.0000 0.0000
Fe: 0.0000 0.5000 0.5000
Fe: 0.1992 0.0313 0.7837
Fe: 0.1992 0.4687 0.2837
Fe: 0.3786 0.0116 0.5911
Fe: 0.3786 0.4884 0.0911
Fe: 0.6214 0.5116 0.9089
Fe: 0.6214 0.9884 0.4089
Fe: 0.8008 0.5313 0.7163
Fe: 0.8008 0.9687 0.2163
O: 0.1759 0.2007 0.6227
O: 0.1759 0.2993 0.1227
O: 0.8241 0.7007 0.8773
O: 0.8241 0.7993 0.3773
F: 0.0048 0.7265 0.6854
F: 0.0048 0.7735 0.1854
F: 0.2276 0.6702 0.4585
F: 0.2276 0.8298 0.9585
F: 0.3891 0.1965 0.4143
F: 0.3891 0.3035 0.9143
F: 0.4033 0.7016 0.2778
F: 0.4033 0.7984 0.7778
F: 0.5967 0.2016 0.2222
F: 0.5967 0.2984 0.7222
F: 0.6109 0.6965 0.0857
F: 0.6109 0.8035 0.5857
F: 0.7724 0.1702 0.0415
F: 0.7724 0.3298 0.5415
F: 0.9952 0.2265 0.8146
F: 0.9952 0.2735 0.3146

**Space-group type**: No. 14


Bottom line: <B>, by a margin of 121 meV/atom.


<A>
First-principles (PBE with a Hubbard U) data for a geometry-optimized Fe5O2F8 structure, as listed in the Alexandria database.

a b c (Å): 4.7773 4.7773 15.8079
angles (deg): 90.03 90.03 89.21
Positions (direct):
Fe: 0.0003 0.9997 0.0000
Fe: 0.0113 0.0099 0.1925
Fe: 0.4721 0.4721 0.0999
Fe: 0.5033 0.4905 0.6918
Fe: 0.5033 0.4967 0.5000
Fe: 0.5095 0.4967 0.3082
Fe: 0.5279 0.5279 0.9001
Fe: 0.9689 0.0275 0.4023
Fe: 0.9725 0.0311 0.5977
Fe: 0.9901 0.9887 0.8075
O: 0.1763 0.1730 0.0958
O: 0.6776 0.3217 0.4071
O: 0.6783 0.3224 0.5929
O: 0.8270 0.8237 0.9042
F: 0.1825 0.1936 0.7153
F: 0.1836 0.1981 0.2881
F: 0.1996 0.2233 0.4995
F: 0.2105 0.2061 0.9022
F: 0.2830 0.7138 0.5943
F: 0.2862 0.7170 0.4057
F: 0.2935 0.6915 0.2002
F: 0.3033 0.6967 0.0000
F: 0.3085 0.7065 0.7998
F: 0.6915 0.2873 0.1959
F: 0.6987 0.3013 0.0000
F: 0.7127 0.3085 0.8041
F: 0.7767 0.8004 0.5005
F: 0.7939 0.7895 0.0978
F: 0.8019 0.8164 0.7119
F: 0.8064 0.8175 0.2847

**Space-group type**: No. 5


<B>

Where did General Conventions come from?
It was established in our original constitution, which was written in 1789. It has grown to be the largest bicameral legislative body in the world.

The Most Reverend Michael Curry, our presiding bishop, leads the House of Bishops, and the Rev. Gay Clark Jennings is the elected leader of the House of Deputies. Between conventions, our life together is administered from our church headquarters located in New York City. 

Where do proposed resolutions and canons come from?
There are four types:A, B, C, and D, which are so designated by their origin:
A:  Interim bodies (standing commissions, task forces, and the Executive Council), 
B:  Bishops,
C:  Provinces and dioceses,
D:  Deputies.

Next to the page, the page also holds calculated crystals:
-- begin --
# ErP5O14 (PBEsol, relaxed)
# **Total magnetic moment**: 0.001 μB per cell
# **Uncorrected formation energy**: -2369 meV/atom
# **Offset from the most stable computed form**: 0 meV/atom
# **Total DFT energy (no corrections)**: -7.738 eV per atom
data_ErP5O14
_space_group_name_H-M_alt 'C 1 2/c 1'
_space_group_IT_number 15
_cell_length_a 12.8981
_cell_length_b 12.7842
_cell_length_c 12.3933
_cell_angle_alpha 90.00
_cell_angle_beta 91.45
_cell_angle_gamma 90.00
loop_
_space_group_symop_operation_xyz
'x,y,z'
'-x,-y,-z'
'-x,y,-z+1/2'
'x,-y,z+1/2'
'x+1/2,y+1/2,z'
'-x+1/2,-y+1/2,-z'
'-x+1/2,y+1/2,-z+1/2'
'x+1/2,-y+1/2,z+1/2'
loop_
_atom_site_label
_atom_site_type_symbol
_atom_site_fract_x
_atom_site_fract_y
_atom_site_fract_z
_atom_site_occupancy
Er1 Er 0.0000 0.0190 0.2500 1
Er2 Er 0.0000 0.4674 0.2500 1
P1 P 0.0233 0.3513 0.5338 1
P2 P 0.1448 0.0322 0.0001 1
P3 P 0.1487 0.1696 0.6046 1
P4 P 0.1746 0.2467 0.2601 1
P5 P 0.1830 0.3656 0.8902 1
O1 O 0.0241 0.4002 0.4258 1
O2 O 0.0588 0.4066 0.6341 1
O3 O 0.0775 0.0639 0.0904 1
O4 O 0.0851 0.2416 0.5236 1
O5 O 0.0901 0.1282 0.6954 1
O6 O 0.0925 0.3031 0.9438 1
O7 O 0.1092 0.0376 0.8862 1
O8 O 0.1132 0.1525 0.2853 1
O9 O 0.1254 0.3481 0.2320 1
O10 O 0.1524 0.4537 0.8199 1
O11 O 0.1930 0.0845 0.5261 1
O12 O 0.2450 0.2389 0.6368 1
O13 O 0.2450 0.2749 0.8364 1
O14 O 0.2494 0.3997 0.9933 1
-- stop --
The page goes on:

What happens to them?
General Convention committees study proposed resolutions and canons, debate them, and at times modify them. Resolutions and canons come out of their assigned committees, read on the floor of the House of Deputies or the House of Bishops with either the recommendation that they be passed, failed, or modified.The debate on each one follows. At times, no debate emerges after the reading, and the vote is immediately taken.

What follows?
It goes to the other house, the one where it did not originate, and that house does the same thing.It votes to either pass, fail, or modify it. A resolution or canon has to pass both legislative bodies in the exact, word for word, format to be passed by GC, the whole body.

How do people, like you or me, become deputies?
After every General Convention, the triennial meeting cycle begins anew.
– Parishioners—that’s you and me—elect people to their vestries.
– Vestries, along with parish rectors and priests, select people to be delegates (people who represent the parish in their deliberations) to their annual councils.
– The delegates elect their diocese’s General Convention deputies (people who vote based on their knowledge and consciences): four clergy and four lay people in addition to four alternates in each order. 
– Deputies work on preparatory responsibilities and then go to General Convention. 

What do deputies do?
Deputies have the responsibility of attending its provinces’ meetings, called synods, which meet before General Conventions.  Ours, Province IV, meets twice, once the year before and once the year of General Convention. Deputies attend the House of Deputies plenary sessions where they listen to addresses and debates, and vote. About one third of the deputies work on committees. They network and attend dinners, such as seminary ones and their diocese’s. They caucus frequently within their deputation. During the legislative days’ business break times, they can visit with one another and peruse the exhibits. There are a lot of them and they fall into two categories: ministry and marketing.

And what better networking can there be than at worship when prayers are offered, the word is heard in Bible readings and through preachers, and beautiful music is sung and heard. I find the worship superb and very meaningful.  

What is the typical General Convention work day like?
Worship, legislative sessions, workshops, adjournment. Evening legislative sessions happen toward the end of General Convention as resolutions and canons come out of committees. (Sounds like our GA legislative process, doesn’t it?) Committees will meet at various times that could be from early morning to night.
What can you do?
Follow the happenings via the Virtual Binder. It is already live with a small amount of information under “Resolutions” and “Constitution and Canons”. The content will grow exponentially leading up to and during General Convention.

Pray for the deliberations that the Holy Spirit will fill the hearts, minds, and work of every deputy.

May God bless you in whatever way you contribute to our wonderful Episcopal Church.

  By Angela Williamson, Lay Deputy

By Angela Williamson, Lay Deputy


Your deputies to General Convention
Elected at 2016 Annual Council

The Very Rev. Mary Demler, St. James’,         
The Very Rev. Sam Candler, St. Philip’s,     
The Rev. Sharon Hiers, Epiphany,                    
The Rev. Jeff Jackson, St. Margaret’s,              


Georgia Mountains
Mid Atlanta
East Atlanta
West Georgia

Ms. Beth King, Deputation Chair, St. Philip’s      
Ms. Angela Williamson, St. Martin’s            
Mr. John Andrews, Grace Calvary      
Mr. Bruce Garner, All Saints                   


Mid Atlanta
North Atlanta
Georgia Mountains
Mid Atlanta

Your alternates

== Data records that have nothing to do with the text ==
+++
1.
Computed, not measured: a geometry-optimized AgBiRh3 structure at the PBE level of DFT.

CIF file:
```
data_AgBiRh3
_chemical_formula_sum 'Ag1 Bi1 Rh3'
_cell_length_a 4.9681
_cell_length_b 4.9681
_cell_length_c 4.9681
_cell_angle_alpha 90.00
_cell_angle_beta 90.00
_cell_angle_gamma 90.00
_symmetry_space_group_name_H-M 'P m -3 m'
_symmetry_Int_Tables_number 221
_symmetry_space_group_name_Hall '-P 4 2 3'
loop_
_atom_site_label
_atom_site_fract_x
_atom_site_fract_y
_atom_site_fract_z
Ag1 0.0000 0.0000 0.0000
Bi1 0.5000 0.5000 0.5000
Rh1 0.0000 0.5000 0.5000
```

Properties
polymorph energy (0 for the lowest one) = 0 meV per atom
energy of formation = 1250.8 meV/atom
calculated density = 8.5 g cm⁻³
DOS at the Fermi energy = 5.6 states/eV/f.u.
spin magnetization = 0.7 Bohr magnetons per cell

***

2.
Computed, not measured: a geometry-optimized NaBiCl3 structure at the PBE level of DFT.

CIF file:
```
data_NaBiCl3
_chemical_formula_sum 'Na2 Bi2 Cl6'
_cell_length_a 5.4737
_cell_length_b 7.7420
_cell_length_c 8.9100
_cell_angle_alpha 70.77
_cell_angle_beta 72.33
_cell_angle_gamma 69.32
_symmetry_space_group_name_H-M 'P -1'
_symmetry_Int_Tables_number 2
loop_
_symmetry_equiv_pos_as_xyz
'x,y,z'
'-x,-y,-z'
loop_
_atom_site_label
_atom_site_fract_x
_atom_site_fract_y
_atom_site_fract_z
Na1 0.1761 0.2304 0.4178
Bi1 0.1193 0.7856 0.9792
Cl1 0.0381 0.6360 0.2984
Cl2 0.2478 0.8646 0.6405
Cl3 0.3472 0.2489 0.0521
```

Properties
polymorph energy (0 for the lowest one) = 0 meV per atom
calculated density = 3.4 g cm⁻³
E_form (uncorrected) = -6.03 eV per formula unit
spin magnetization = 0.0 Bohr magnetons per cell

***

3.
Computed, not measured: a geometry-optimized DyHo4 structure at the PBE level of DFT.

CIF file:
```
data_DyHo4
_chemical_formula_sum 'Dy2 Ho8'
_cell_length_a 4.4612
_cell_length_b 4.4612
_cell_length_c 16.5479
_cell_angle_alpha 90.00
_cell_angle_beta 90.00
_cell_angle_gamma 90.00
_symmetry_space_group_name_H-M 'I 4/m m m'
_symmetry_Int_Tables_number 139
_symmetry_space_group_name_Hall '-I 4 2'
loop_
_atom_site_label
_atom_site_fract_x
_atom_site_fract_y
_atom_site_fract_z
Dy1 0.0000 0.0000 0.0000
Ho1 0.0000 0.0000 0.4061
Ho2 0.0000 0.5000 0.2500
```

Properties
polymorph energy (0 for the lowest one) = 353 meV per atom
energy of formation = 373.7 meV/atom
calculated density = 8.3 g cm⁻³
DOS at the Fermi energy = 8.4 states/eV/f.u.
spin magnetization = 0.8 Bohr magnetons per cell

***

Number 1: volume 24.5 A^3/atom. Number 2: volume 32.6 A^3/atom. Number 3: volume 32.9 A^3/atom.
+++

The Rev. Cynthia Parks, Grace                       
The Rev. Patricia Templeton, St. Dunstan’s    
The Rev. Deacon Arthur Villarreal, Christ        


Georgia Mountains
North Atlanta

Mr. Raz Schreiber, St. Bartholomew’s       
Ms. LaFawn Gilliam, St. Luke’s                          
Mr. Les Callahan, St. Anne’s                         


East Atlanta
Mid Atlanta
North Atlanta